Epic & Agentic AI: This is a well-reasoned perspective. However, given Epic's historical approach to technological innovation, call me a…
News 1/30/08
From Curious George: “Re: Thomson. I’m surprised no one has mentioned that the CEO and VP of sales at Thomson Healthcare were both fired a couple of weeks ago.”
From The Alchemist: “Re: Middle East. On an engagement for a few months in the Middle East — you know, where all the money is. Let me propose a scenario to all you HIStalkers out there. If you had the funding, approximately 100 times the average U.S. hospital construction, what would want in your hospital? All fantasies will be accepted, but try to keep them earth-bound.”
From Scott Shreeve: “Re: athenahealth. My normally calm demeanor got a little rankled after reading Cady Heron’s comment that athena is just a billing operation.” Scott’s riposte is here.
From Tex Arcana: “Re: Christine Stanfield and QuadraMed. Yes, Christine was terminated on Thursday after receiving an unsolicited contact by another company about potential opportunities. In her research, she asked her line manager what her future role was with QM. Based on a brief discussion, QM considers these inquires as acts of resignation and promptly terminated her! The sad part is there are less than a handful of people left who know the CPR product. It’s apparent QM doesn’t get it after all.”
From Dave DiVida: “I can confirm the ‘departure’ of Christine Stanfield. I was just informed by current QuadraMed employees that QuadraMed showed her to the door. These people now report that since this development, morale there in San Bernardino is now lower than it has ever been … which is a real accomplishment, considering how low Misys could keep it. I’m dumbfounded. This is one of THE most knowledgeable CPR employee on the planet in my humble opinion. Potential employers should watch for the name to come across your desk if she’s seeking, or even proactively find a way to get in touch with her. If you have the opportunity, SNATCH HER UP.”
From Slim Whitman: “Re: Sumter. I remember reading in the rules (they’re now gone from the website) something along the lines that the MRI had to be installed in a permanent location and wondered how Sumter would qualify given that it would have to be located initially in a temporary structure. That may be the ‘gotcha’ here as on December 28th, Sumter was way ahead of Lockport in votes. Regardless, I am thrilled that Siemens chose to donate one to them as well. That’s TWO patient populations that will benefit!” I bet you’re right. Sumter did say that it would work out much better for them to take delivery later, when a permanent location will be ready. I rarely say anything nice about Siemens, but they did the right thing here and deserve kudos.
From Steve Lamo: “Re: Revolution Health. Revolution Health may have a PHR, but as a company which seems to have a strategy de jour approach, it is not very compelling and is not getting any traction in the market. The B2C model for PHRs which Revolution Health is pursuing is not working. Also, with the impending release of Google Health, my bet is CEO Schmidt will introduce during HIMSS keynote, Revolution Health’s PHR prospects will be increasingly bleak.”
From Rogue: “Re: musings on data sharing. Hypothetical case: When I was 19 and in college, I was treated for an STD at the hospital connected to the university. Three years later in grad school, at a community hospital down the road, I saw a psychiatrist for a bout of depression associated with flunking two courses and changing my major. On meds for two months. Fast forward 10 years. Married now. One kid. All those electronic records are, of course, just archived on terabytes of EMC storage media. Why bother to electronically shred old EMRs? With storage so cheap, it’s easier to just file them. The new RHIO links those two hospitals with everyone else in the area/state. My new medical record, in Employee Health at hospital #3 where I now work, contains all this juicy info, right? It’s just a Social Security number link away. And of course, since the patient doesn’t own their records, the facilities do, I have no control over who sees what. My hospital (employer) EHR now contains links to all this old stuff, right? Is this possible? What am I missing? I’m in the business and I can’t figure out how to reassure my neighbor that a certain degree of privacy IS possible with EMRs. Is some measure of privacy and personal control only possible if RHIOs fail?”
From For the Record: “Re: Cerner. For the record, John Goodrow used to work at Cerner as a lab sales person. Not sure how forthcoming he will be.” That’s in reference to the downtime rumor. I’ve heard from several readers that Cerner puts contract language in that prohibits hospital people from saying anything bad about them, but I don’t recall seeing that in there. If you have, send it over, please. That would be fascinating to know.
Several vendors e-mailed offering to hand out HIStalk goodies at their HIMSS booths. I’ve sent out the pitiful supply I have to the vendors who asked first, but if anybody wants to create their own HIStalk trinkets or arrange some sort of in-booth entertainment that would benefit HIStalk readers, I’ll promote it (I’m thinking a buxom Miss HIStalk in evening gown and sash — along with a male equivalent — to hold court at booths at an appointed time, but I’m open to ideas).
The VA’s had quite a few data leaks, but it’s the water variety that got them in Tennessee. A broken water pipe damages the VA’s servers, so clinics all over the state were shut down yesterday and today.
Leslie White, PR VP for McKesson, e-mailed to say that it’s not the end of the line for the Dubuque crowd. The company will move operations and 340 positions to a new facility in the spring of 2009 to provide space for growth.
I hoped you enjoyed the interview with Denis Baker. Denis noted that he’s getting calls galore from people he’s known but not heard from over the years because of my wide readership, many of them trying to sell him something. Surely salesfolk aren’t so desperate that just mentioning his name here would open the floodgates? (other than GE, which he called out specifically as ignoring him).
Someone pasted records of crystals at this point:
........
[1]
DFT (GGA-PBE) results for a relaxed DyCu3P2 crystal.

Values from the calculation:
ΔE_f = -0.56 eV/atom
Final energy = -5.177 eV/atom
Fermi-level density of states = 5.186 states/eV/cell
Crystal system = monoclinic
Total magnetization = 0.00 Bohr magnetons per cell

abc: 14.5678 3.8732 7.1959
angles: 90.00 117.09 90.00
Closest atoms and distances in Å follow each position.
Space group C2/m (No. 12)
Inequivalent atoms, fractional coordinates:
Dy  0.1453  0.0000  0.0537  7 P 2.84-3.15, 5 Cu 3.16-3.18
Cu  0.0525  0.0000  0.3903  3 P 2.36
Cu  0.1000  0.5000  0.6731  3 P 2.32-2.38, 1 Cu 2.57
Cu  0.1863  0.5000  0.4307  2 P 2.30-2.33, 3 Cu 2.55-2.57
P  0.0134  0.5000  0.1818  4 Cu 2.32-2.36, 1 P 2.46
P  0.2021  0.0000  0.7153  4 Cu 2.30-2.38



[2]
DFT (GGA-PBE) results for a relaxed LiPuPa2Pt4 crystal.

Values from the calculation:
ΔE_f = -0.78 eV/atom
Final energy = -8.208 eV/atom
Fermi-level density of states = 43.130 states/eV/cell
Crystal system = trigonal
Total magnetization = 18.70 Bohr magnetons per cell

abc: 4.8148 4.8148 24.1925
angles: 90.00 90.00 120.00
Closest atoms and distances in Å follow each position.
Space group R-3m (No. 166, hexagonal axes)
Inequivalent atoms, fractional coordinates:
Li  0.0000  0.0000  0.0000  8 Pt 2.78-2.94
Pu  0.0000  0.0000  0.5000  8 Pt 3.05-3.08
Pa  0.0000  0.0000  0.2537  7 Pt 2.88-2.95
Pt  0.0000  0.0000  0.1148  1 Li 2.78, 3 Pa 2.91, 3 Pu 3.05
Pt  0.0000  0.0000  0.3726  4 Pa 2.88-2.95, 3 Li 2.94, 1 Pu 3.08

=====

Computed, not measured: an optimized crystal structure of Ca2SmCdS4 at the PBE level of DFT.

Unit cell a=3.9987 b=7.1187 c=6.8764 alpha=109.84 beta=90.00 gamma=90.00
With the nearest neighbours (Å) after each atom.
Positions (direct):
1 Ca 0.5000 0.0000 0.5000  6 S 2.84-2.91
2 Ca 0.0000 0.5000 0.5000  6 S 2.85-2.86
3 Sm 0.5000 0.5000 0.0000  6 S 2.82-2.83
4 Cd 0.0000 0.0000 0.0000  6 S 2.82-2.87
5 S 0.5000 0.2500 0.2425  2 Cd 2.82, 1 Sm 2.82, 3 Ca 2.86-2.91
6 S 0.5000 0.7500 0.7575  2 Cd 2.82, 1 Sm 2.82, 3 Ca 2.86-2.91
7 S 0.0000 0.2514 0.7499  2 Sm 2.83, 3 Ca 2.84-2.85, 1 Cd 2.87
8 S 0.0000 0.7486 0.2501  2 Sm 2.83, 3 Ca 2.84-2.85, 1 Cd 2.87

formation energy from raw total energies = -1653 meV/atom
size of the total moment = 0.00 Bohr magnetons per cell
raw total energy = -4.921 eV/atom
D(E_F) = 0.3990 states/eV per atom

Computed, not measured: an optimized crystal structure of CaCdSn2S6 at the PBE level of DFT.

Unit cell a=7.1793 b=9.0440 c=9.0440 alpha=85.98 beta=75.54 gamma=75.54
With the nearest neighbours (Å) after each atom.
Positions (direct):
1 Ca 0.2500 0.8858 0.1142  6 S 2.80-2.92
2 Ca 0.7500 0.1142 0.8858  6 S 2.80-2.92
........
Marshfield Clinic CIO Jeremy Miller is nominated for a case study award on the use of Fujitsu tablet PCs at Healthcare IT Summit.
American Hospital Dubai announces what it says will be the most advanced integrated healthcare information system in the UAE, using technology from Meditech, Lawson, Siemens, Cisco, and HP.
The Military Health System will enhance AHLTA’s imaging capabilities for scanned documents and photographs using a Web-based front end for its Documentum content management system.
Sweeny Community Hospital (TX) is written up by the local paper as the CCHIT certification site of Prognosis Health Information System‘s inpatient EMR.
I’m really buried, so don’t give up that I may eventually reply to your e-mails. I barely have time to sleep between work and after-work. I’m sure it will build my character if I survive.
Inga’s Update
I am still trying to figure out how I was on the mailing list for a particular mailing received over the weekend. I was notified of a new physician house call service that specializes in providing at-home Botox injections. (I was embarrassed to ask my more youthful neighbors if they got the same mailing). But, it does beg the question whether or not the cutie Dr. Parkinson provides this service. Anyway, I have spent too much time in the last couple of days looking in the mirror and wondering if someone in my life is suggesting it’s time for Botox.
Federal health inspectors fault Kaiser’s Fresno hospital for not acting on complaints and keeping a closer watch on its medical staff following an investigation into one its perinatologists. It’s a sad story with no winners and includes the death of at least two babies and the resignation of hospital administrator Susan Ryan.
Eclipsys announces the availability of Sunrise Clinical Essentials, a seemingly “lite” version of their original Sunrise Clinical Manager solution. It offers more pre-configured software and pre-defined implementation methodology for quicker setup and easier support. Coming soon to a small community hospital near you!
HIMSS Analytics announces they’ve doubled the number of free benchmarking reports available to healthcare providers. The only catch is that providers first have to complete HIMSS Analytics’ Annual Survey to populate the HIMSS Analytics database.
Re: RemedyMD. A reader considering a job with them recently asked for any insights from any current or former employees. A former staffer told me the CEO was great and they have some great products, although for a sales position, it’s always good to verify how ready they are for market.
Cerner Millennium will be implemented in the three hospitals that are part of Health Quest healthcare system in NY’s Hudson Valley.
EpicTide is now FairWarning. The supplier of privacy auditing solutions for EHRs also announces a 200% growth in software bookings for 2007 and expectations for a positive cash flow by the end of this quarter.
Newton Memorial Hospital is appropriated $146K from the federal budget, courtesy of the efforts of their Congressmen. The money will be applied towards their $7 million Cerner computer infrastructure. This announcement comes a couple of weeks after the hospital laid off eight people, blaming the cuts on $3 million in state Medicare spending cuts and squeezes from physician-owned ambulatory surgery centers. (The same article also indicated their marketing department had to be streamlined as well, but I would say they still did a pretty good job blaming others with nary a mention of the $7 million elephant in the room).
More CCHIT 2007 certifications: Allscripts Healthmatics EHR Version 2007.1 and MediNotes e Version 5.2. Both have pre-market approvals.
Here’s a new networking site for all the HIT geeks out there. The description: the Healthcare Technology Alliance is a group of technology specialists working in the health care industry. Clearly they are in need of a marketing specialist to help spice up that language.
If you haven’t already, check out the cool interviews at www.histechreport.com. Don’t miss Mr. H’s “Bottom Lines” which include a bunch of those well-loved “Mr. H-isms.” (Ok, that isn’t a word, but it should be.) The latest ones are on The White Stone Group and Stratus (both who are going to be exhibiting at HIMSS.)
RE: Botox spam. Your rock-star narcissist “cutie” Dr Parkinson is off changing the world, not your face, or anyone’s bottom lines.
and feeding trolls.
and possibly flipping out.
something or somebody is gonna give soon…